Tedious Brief Productions proudly presents The Final Act, an Elizabethan noir thriller that tells the true (well, partially true) story of the death of playwright Christopher Marlowe, contemporary of William Shakespeare. The play is being produced as part of the Minnesota Fringe Festival which runs from today, August 1st through the 11th.
The story centers around Nicholas Skeres, a private investigator hired by a mysterious woman, Rebecca, to retrieve something from the most famous playwright of 1590's England, Christopher Marlowe. But when the wordsmith winds up dead and Nick is framed for the crime, he has to work quickly to figure out whodunit before the police, the London underworld, and some suspicious Spaniards track him down.
Using actual historical events as the backdrop for the story, Tedious Brief ventures into new waters by creating their first script that isn't based on a modern film. Instead, it's the Film Noir genre in general that receives an Elizabethan makeover.
The cast features Grant Henderson as Nick Skeres with his real-life wife Katherine Kupiecki as the femme fatale, Rebecca. Twin Cities theater veteran Edwin Strout plays Christopher Marlowe.
Theatre Pro Rata artistic director Carin Bratlie, who helmed Tedious Brief's first production in 2009, Bard Fiction, returns to direct. When asked what excited her about The Final Act, she said, "I was really excited that Tedious Brief was branching out into a story of their own devising... and the script does not disappoint! I can't wait to dig into the noir twists and turns."
Tedious Brief previously produced the smash Fringe hits Bard Fiction (the Shakespearean adaptation of Pulp Fiction) in 2009 and Tempests (the Shakespearean adaptation of Aliens) in 2011.
The Final Act, written by Aaron Greer, Ben Tallen and BrIan Watson-Jones and directed by Carin Bratlie, will play The Woman's Club of Minneapolis, 410 Oak Grove Street, Minneapolis, MN 55403. Tickets: $12 (+ $4 Fringe Button) General Admission.
Thursday, Aug 1st - 5:30pmSunday, Aug 4th - 5:30pm
Tuesday, Aug 6th - 7:00pm
Thursday, Aug 8th - 8:30pm
Saturday, Aug 10th - 4:00pm
The Final Act is presented as part of the 2013 Minnesota Fringe Festival. Please check the show's page on the Fringe Festival's website for more information.
Originally founded in 2009, Tedious Brief Productions is comprised of local actors and writers looking to create theater that blends "traditional" theater with popular entertainment of the modern day, pushing the envelope of neo-classical fusion theater. We create work that is fun and engaging, bridging the gap between theater aficionados and the public at large.
Records of crystals that have nothing to do with the entry:
~~~
Entry from Materials Project: an optimized crystal structure of Ba3MgMnNb2O9 (GGA+U).

abc: 6.1896 6.1896 7.4639
angles: 93.84 93.84 57.00
Last column: nearest neighbours and their distance in Å.
Atoms (fractional coordinates):
Ba  0.0000  0.0000  0.0000  12 O 2.95-3.09
Ba  0.2788  0.2788  0.6972  7 O 2.74-2.97, 1 Mg 2.91
Ba  0.7212  0.7212  0.3028  7 O 2.74-2.97, 1 Mg 2.91
Mg  0.5000  0.5000  0.5000  4 O 2.00
Mn  0.0000  0.0000  0.5000  4 O 2.11
Nb  0.3379  0.3379  0.1569  6 O 2.01-2.19
Nb  0.6621  0.6621  0.8431  6 O 2.01-2.19
O  0.0000  0.5000  0.0000  2 Nb 2.07
O  0.1951  0.6678  0.3293  1 Mg 2.00, 1 Nb 2.11, 1 Mn 2.11
O  0.1977  0.1977  0.3172  1 Nb 2.01
O  0.3322  0.8049  0.6707  1 Mg 2.00, 1 Nb 2.11, 1 Mn 2.11
O  0.5000  0.0000  0.0000  2 Nb 2.07
O  0.5000  0.5000  0.0000  2 Nb 2.19
O  0.6678  0.1951  0.3293  1 Mg 2.00, 1 Nb 2.11, 1 Mn 2.11
O  0.8023  0.8023  0.6828  1 Nb 2.01
O  0.8049  0.3322  0.6707  1 Mg 2.00, 1 Nb 2.11, 1 Mn 2.11

As for the symmetry: No. 12. Its crystal system is monoclinic. The value obtained for the calculated formation energy is -2.76 eV per atom.
~~~
Pictured: Ben Tallen, Grant Henderson, and Katherine Kupiecki. Photo Credit: Scott Pakudaitis.